1. How to call print option of JFreeChart stackoverflow.comI have an application with some JFreeCharts. When I right-click them, one of the default options is "Print", so I can print the chart in paper. I want to replicate that option ... |
2. Code to print reports through printer jfree.org |
3. Printing a JChart jfree.org// http://www.softhouse.com.cn/html/200410/2004102610123400001359.html import java.io.*; import javax.servlet.*; import javax.servlet.http.*; import com.lowagie.text.*; import com.lowagie.text.pdf.*; public void doGet(HttpServletRequest request, HttpServletResponse response) throws IOException,ServletException { Document document = new Document(PageSize.A4, 36,36,36,36); ... |
4. print one chart in multi pages jfree.orgI need to print one chart in several pages, for example, the left half of the chart in page 1 and the left print in page2. I've thought about convert the chart to a .jpeg file and then print it.But this solusion cannot print the rangeAxis label in each page. Is there a better solusion? Regards, yeskky |
5. Printing jfree.orgTo prevent the entire page from being rasterized, avoid alpha: * Don't draw with colors that have an alpha component. * Don't draw images that have an alpha channel. If you must use alpha, use this technique to avoid full-page rasterization: 1. Draw the non-opaque colors into an opaque offscreen Image. 2. Redraw the Image with alpha into an opaque Image. ... |
6. How can I print a sima sign (∑) in the diagram leg jfree.org |
7. Printing in Landscape, works? jfree.org |
8. Printing Resolution Issues jfree.orgMy software generates PNG files using createBufferedImage, and the user specifies the Height and Width. When the height & width values are relatively large, e.g. 1200*1600, the annotation information 'shrinks' in scale so that viewing the resultant PNG looks 'proportional' and is way too small. Is there a way to increase the resolution of the chart while retaining the visual aspect ... |
Next to the entry, the page also holds calculated molecules =
# 1
DFT (ωB97M-V/def2-TZVPD) results for 8 unconnected molecules or ions with the total composition C30H48O9S3 in a non-equilibrium geometry.

Its total charge is +1. Its LUMO energy (spin up / spin down) is -3.220 / -8.074 eV. The value obtained for the highest occupied orbital energy (spin up / spin down) is -11.63 / -11.63 eV. The calculation puts the frontier orbital gap (spin up / spin down) at 0.3093 / 0.1308 Eh. For the total energy, the calculation gives -3043.1764 Ha. The spin multiplicity is 2.

```
90
C30H48O9S3 | the Open Molecules 2025 dataset | ωB97M-V/def2-TZVPD
C -5.78286 -0.37043 1.50245
S -4.03618 0.17642 1.38499
O -3.49387 -0.39586 2.71992
C -3.40990 -0.74947 -0.12137
H -6.07477 0.11426 2.43410
H -5.88395 -1.45301 1.42561
H -6.43845 0.10276 0.77144
H -2.35686 -0.58867 -0.35231
H -4.04507 -0.58093 -0.99099
H -3.51032 -1.80289 0.14003
C 4.40980 3.13752 3.08329
S 3.43568 1.86615 2.22432
O 2.33311 2.72273 1.70595
C 4.63784 1.56893 0.87930
H 4.02196 3.55168 4.01396
H 4.51091 4.00067 2.42538
H 5.36633 2.64043 3.24470
H 5.55834 1.25498 1.37145
H 4.87564 2.50774 0.37912
H 4.27466 0.73479 0.27897
C -0.27307 -0.66481 2.19265
S 1.36087 -0.89573 1.38698
O 1.42574 -2.27810 0.80627
C 1.07547 0.16478 -0.10339
H -0.54427 0.38841 2.26529
H -0.41091 -0.99788 3.22132
H -0.95817 -1.29430 1.62477
H 1.85348 0.08909 -0.86303
H 1.01130 1.22945 0.12121
H 0.13592 -0.05417 -0.61076
C 3.12463 -2.36472 -2.20755
C 4.05913 -1.38109 -1.87510
C 4.56874 -0.43154 -2.79433
C 4.04943 -0.48224 -4.09649
C 3.07342 -1.41802 -4.42038
C 2.69964 -2.40782 -3.52420
H 2.88283 -3.07696 -1.43254
H 4.48039 -1.32514 -0.88222
H 5.34310 0.29316 -2.59040
H 4.52756 0.19820 -4.78555
H 2.73688 -1.47487 -5.44503
H 1.94711 -3.12861 -3.80803
C -1.42533 -3.80789 -2.69893
C -1.26946 -2.47167 -2.78169
C -2.36019 -1.70781 -3.19483
C -3.54395 -2.32773 -3.55827
C -3.70063 -3.68874 -3.55180
C -2.59098 -4.43693 -3.21828
H -0.65553 -4.45533 -2.30570
H -0.32853 -2.01677 -2.50945
H -2.33197 -0.62820 -3.18782
H -4.27758 -1.57502 -3.80651
H -4.63278 -4.17550 -3.79790
H -2.61246 -5.51553 -3.26901
O 1.49872 -3.68044 4.22823
C 0.69512 -4.04738 3.41298
O -0.57517 -3.65202 3.39040
C -1.32772 -4.06853 2.28383
C -0.50653 -4.97224 1.47923
C 0.85712 -4.92638 2.21092
H -1.61712 -3.24515 1.63084
H -2.32853 -4.45487 2.47674
H -0.33699 -4.63370 0.45710
H -0.96434 -5.95859 1.40423
H 1.74020 -4.62273 1.64872
H 1.00546 -5.96743 2.49782
O -4.34176 5.39746 1.48114
C -3.53225 4.62928 1.93971
O -3.53092 4.13685 3.21866
C -2.47238 3.25017 3.45766
C -1.49749 3.45444 2.27387
C -2.41653 3.95713 1.13244
H -2.92187 2.26648 3.32195
H -2.09339 3.32621 4.47682
H -1.04222 2.47812 2.10765
H -0.70234 4.13589 2.57628
H -2.91821 3.19053 0.54190
H -1.97623 4.76087 0.54233
O -0.04272 6.14175 -0.30926
C 0.45760 5.10266 -0.78977
O -0.30929 4.19837 -1.51544
C 0.45417 3.18062 -2.13512
C 1.92803 3.62840 -1.79873
C 1.91660 4.62491 -0.68580
H 0.22796 3.13708 -3.20050
H 0.23288 2.23850 -1.63360
H 2.26058 4.03213 -2.75503
Back to the entry =
10. Printing other graphics/text on a JFreeChart jfree.org |
11. Need Help. Printing chart in html page not working jfree.org |
12. Printing a jfree chart jfree.orgHI I have a problem in printing the Jfree Chart.. We have a frame which is calling the jsp and this jsp gets all the hidden parameters and sends the request to the servlet which is generating the chart How can I implement the print functionality for printing the chart in the javascript of the frame jsp which is calling the ... |
### Quantum chemistry results that have nothing to do with the article
<<<
C52H88AsN3O6SSbTi as an isolated structure, computed with ωB97M-V/def2-TZVPD.

Output
Charge: -1
Energy above the lowest of the compared OMol25 structures with the same formula, charge and spin (kJ/mol): 16.1
Lowest unoccupied orbital energy (eV): 2.29

```
153
Properties=species:S:1:pos:R:3:forces:R:3
Ti -0.6195 -0.8007 0.6946 0.613 -0.017 0.061
C -4.4092 3.7950 -3.1982 0.014 -0.015 0.009
C -4.9721 3.5466 -1.7909 0.029 0.011 -0.008
C -4.6273 4.7417 -0.8913 -0.009 -0.003 0.000
C -6.4947 3.4585 -1.8969 -0.002 -0.003 0.000
C -4.3531 2.2741 -1.2105 -0.030 -0.027 0.011
C -2.9697 2.2183 -1.0333 0.033 0.040 -0.037
C -2.3797 1.0820 -0.5099 0.033 -0.067 0.083
N -1.0176 0.7642 -0.4268 -0.048 0.435 -0.151
C -0.1736 0.9597 -1.5248 0.131 -0.057 0.128
C -0.0247 2.0720 -2.3440 -0.101 0.011 -0.100
C 0.7198 1.9694 -3.5184 0.001 0.007 0.033
C 1.2989 0.7413 -3.8357 0.003 0.048 -0.018
C 1.2321 -0.3721 -2.9993 0.257 -0.035 0.158
C 0.5531 -0.2093 -1.7916 -0.418 -0.052 -0.182
O 0.3751 -1.1710 -0.8778 0.219 0.108 0.140
C 1.8364 -1.7263 -3.3705 -0.042 0.002 -0.012
C 0.7100 -2.7667 -3.4728 0.002 0.002 -0.007
C 2.8420 -2.1712 -2.3024 -0.004 -0.047 0.001
C 2.5704 -1.6738 -4.7111 -0.001 -0.001 -0.016
C 0.8418 3.1355 -4.5029 -0.021 -0.002 -0.009
C 0.0249 2.8074 -5.7616 0.017 0.003 -0.002
C 0.3107 4.4435 -3.9133 -0.013 0.001 -0.018
C 2.3064 3.3635 -4.9009 0.005 0.007 0.018
C -3.1845 0.0111 -0.0714 0.029 0.076 -0.127
O -2.4931 -1.0040 0.4901 -0.077 -0.018 0.098
C -4.5520 -0.0071 -0.3354 -0.031 -0.118 0.168
C -5.1084 1.1557 -0.8841 -0.007 0.035 -0.048
C -5.3840 -1.2792 -0.1285 0.013 0.039 -0.017
C -5.3953 -1.6972 1.3441 -0.001 0.003 0.005
C -6.8360 -1.0943 -0.5744 0.000 -0.002 0.006
C -4.7773 -2.4156 -0.9679 -0.002 0.021 -0.026
H -4.8303 4.7099 -3.6250 -0.001 -0.002 0.003
H -4.6508 2.9599 -3.8589 -0.001 0.004 -0.002
H -3.3231 3.8976 -3.1800 -0.004 0.007 0.000
H -5.0560 5.6617 -1.2989 0.000 -0.001 0.003
H -3.5491 4.8803 -0.8056 -0.003 -0.002 0.000
H -5.0244 4.5895 0.1143 0.005 0.006 -0.002
H -6.8873 4.3997 -2.2889 -0.004 -0.002 -0.003
H -6.9523 3.2811 -0.9216 -0.005 0.007 -0.007
H -6.8047 2.6587 -2.5726 -0.003 0.004 0.004
H -2.3560 3.0612 -1.3158 0.008 -0.015 0.016
H -0.5003 3.0025 -2.0785 -0.012 -0.022 0.016
H 1.8272 0.6503 -4.7752 0.004 -0.001 0.008
H 0.2046 -2.8869 -2.5156 -0.008 -0.001 -0.001
H 1.1214 -3.7365 -3.7707 0.007 0.012 0.007
H -0.0260 -2.4628 -4.2216 0.006 0.002 0.002
H 3.2627 -3.1456 -2.5717 -0.002 0.004 0.011
H 2.3706 -2.2475 -1.3237 0.016 0.013 0.008
H 3.6599 -1.4520 -2.2406 0.019 0.027 0.010
H 1.9004 -1.4077 -5.5320 0.003 0.002 0.003
H 2.9899 -2.6588 -4.9293 0.001 0.006 0.008
H 3.3934 -0.9545 -4.6873 -0.003 -0.012 -0.016
H -1.0200 2.6262 -5.5017 -0.001 0.004 0.000
H 0.4083 1.9110 -6.2522 -0.007 0.002 -0.001
H 0.0680 3.6357 -6.4755 0.001 -0.008 -0.002
H -0.7613 4.3896 -3.7116 0.007 0.000 0.007
H 0.4722 5.2572 -4.6246 0.000 -0.001 0.006
H 0.8238 4.6977 -2.9832 -0.002 0.005 -0.003
H 2.7520 2.4725 -5.3445 -0.005 -0.001 -0.003
>>>
### Back to the article
13. Print chart on many pages?(Still Stuck :( Please help asap!) jfree.orgI'm getting really lost trying to work out how to print charts to a printer with jfreechart. After browsing this forum I found that it can be done from a right click menu on the chart, via a method in the chartpanel class. I have a problem though that I have a really long chart that I want to print all ... |
14. Print Problem jfree.orgI can't print all charts which are on panel.I see 4 charts on the screen but when i sent the printer it prints only one chart . How can i solve this problem? private static JFreeChart createChart(String title, CategoryDataset values) { JFreeChart chart = ChartFactory.createLineChart(title, "", "PQ", dataset, PlotOrientation.VERTICAL, true, true,false ); chart.setBackgroundPaint(Color.white); CategoryPlot plot = chart.getCategoryPlot(); ValueAxis rangeAxis1 = new ... |
15. Legend only for printing jfree.orgHello All, for on screen display I use a table which shows the values for datasets at the mouse cursor position. Showing the legend in parallel to this table is not needed. For printing it would be great to have the legend. Is there a way to only show the legend on print outputs? Michael |
16. Print Scrollable Chart jfree.org |
17. Printing Problem jfree.orgCode: Select all /** * Creates a print job for the chart. */ public void printChart(PSBChart chart) { PrinterJob job = PrinterJob.getPrinterJob(); PageFormat pf = job.defaultPage(); ... |
18. Problem printing charts on internet explorer jfree.orghello, Sorry for the delay, we have found what's going wrong. It is a known problem dealing with generated pictures under IE. Here is a link about that: theserverside.com/discussions/thread.tss?thread_id=32410 In the same time we are using WebObjects FrameWorks. We had to had a value to the binding "key" of the WoImage component. Thanks anyway! Nicolas |
19. Printing Problem in Java 6 jfree.orgHi, Printing has been working really well up until upgrading to Java version 1.6.0, upon which the charts now print labels, and legends upside down and incorrectly spaced. I had wondered whether this was a problem with my usage of the JFreeChart, but it also has the same problem on the JFreeChart 1.0.3 demo. Any pointers on resolving this problem would ... |
20. Printing from browser jfree.orgPrinting from browser by masahiko Thu Jan 25, 2007 6:32 am How can I print graph image from a Web browser? I'm making an application as a signed applet so that it can print the image from the browser. However, when I choose "Print" command of the pop-up menu, only background image is printed and nothing else. There are error ... |
21. Problem printing a ChartPanel (on dual core?) jfree.orgI have a ChartPanel object that I want to view on screen and on a printer. The onscreen display always works fine. On a couple of single-core PCs the ChartPanel also prints OK. On my latest dual-core PC the print does not work - only a part of the contents of the ChartPanel get printed. It looks as though the graphics ... |
22. JFreeChart Printing Problem sending huge data to printer jfree.orgwhen I add plot.addRangeMarker(new ValueMarker(0.0)); or NumberAxis valueAxis = new NumberAxis(valueAxisLabel); valueAxis.setAutoRangeIncludesZero(true); when I print from the right click menu, it is sending huge bytes to the printer you can reproduce this problem with TimeSeriesDemo12.java add a point s2.add(new Minute(30, 9, 7, 12, 2003), -0.5); below 0.0 to see the effect. [code] private static XYDataset createDataset() { TimeSeriesCollection dataset = new ... |
23. Printing with JFreeChart jfree.org |
24. How to call Print ?? jfree.org |
25. adjust the printing jfree.org |
26. print text and the jfreechart jfree.org |
27. Bad quality when printing chart... [URGENT] jfree.orgHi everybody, excuse me for my bad english, i'm french I'm using jfreechart to generate OverlaidBarChart in png and then include it in a pdf document with fop. When i print the png file, result is rather bad : font, legend etc... are blur. I tried removing the antialising, but this time all is pixelated... However, when i try to print ... |
28. automate the PageFormat and Printer for Printing jfree.orgHello, each time I want to print my chart (with right- cklick print) a page- setup dialog opens with default values. for example - the margins are 24.5 mm - the print format is set potrait For every single print I have to change these values. But if my application is in production they have to print a lot of charts ... |
30. ChartPanel--> Print function dark background jfree.orgThat's a problem I hadn't considered. You would need to modify the ChartPanel code - the methods createChartPrintJob() and print() in particular (both are public methods so you could subclass and override them). You'd probably have to clone the JFreeChart instance, apply a different theme, and use the clone for the printing. |
31. Print multiple Diagrams on one A4 Page jfree.orgHi, I'm new to this forum, i need your help: I want to print 3 Diagrams on one A4 Page, one on the top, one in the middle of the page and the last one on the bottom. I suceeded in printing one diagram on one page, but i need three diagrams on one page. How can I manage this? thanks ... |
32. Print ChartPanel with modifications jfree.orgHello, In my application, I display a ChartPanel without a Title or a Legend. (The application displays this information elsewhere outside of the ChartPanel.) However, when I print the ChartPanel, I'd like to be able to print it with ChartPanel's Title and Legend. Is there someway to override the ChartPanel.createChartPrintJob() in order to add a title and legend? Or simply create ... |
33. Print Preview with JFree Chart jfree.org |
34. problem print reverse jfree.org |
35. Problem printing on a shared printer jfree.orgI have the following function to print a Chart, but it doesnt work on a SHARED printer, only on network printers. Code: Select all /** * This method plot a chart on a Panel. * @author Ulisses Nunes * * @param JPanel - Painel to ... |
36. printing programmatically jfree.orgprinting programmatically by hanvyj Thu Nov 18, 2010 12:16 pm Hi, I'm trying to print out a chart without using "print" on the right click menu. I can get my graph to print ok but I have a few questions some people may be able to answer. 1) Is the first print dialog (where you set up the margins etc) ... |